### What to do
Please set down the rows underneath without additions.

### Material
........
No. 1
For LaPmLuPu, a DFT-relaxed cell (PBE, Alexandria) gives the simulated PXRD pattern in this record (CuKα).

The 10 most intense peaks (10 to 80 degrees two-theta), in order of rising 2θ:
d/Å, intensity, hkl
4.625, 16, 1 1 1
4.005, 36, 2 0 0
2.832, 1000, 2 2 0
2.415, 10, 3 1 1
2.312, 12, 2 2 2
2.003, 187, 4 0 0
1.791, 18, 4 2 0
1.635, 396, 4 2 2
1.416, 123, 4 4 0
1.267, 171, 6 2 0

```
data_LaPmLuPu
_cell_length_a 8.0103
_cell_length_b 8.0103
_cell_length_c 8.0103
_cell_angle_alpha 90.00
_cell_angle_beta 90.00
_cell_angle_gamma 90.00
_space_group_name_H-M_alt 'F -4 3 m'
_space_group_IT_number 216
_space_group_name_Hall 'F -4 2 3'
loop_
_atom_site_label
_atom_site_fract_x
_atom_site_fract_y
_atom_site_fract_z
La1 0.0000 0.0000 0.0000
Pm1 0.0000 0.0000 0.5000
Lu1 0.2500 0.2500 0.7500
Pu1 0.2500 0.2500 0.2500
```

---

No. 2
For Li3Mg2, a DFT-relaxed cell (PBE, Alexandria) gives the simulated PXRD pattern in this record (CuKα).

The 10 most intense peaks (10 to 80 degrees two-theta), in order of rising 2θ:
d/Å, intensity, hkl
4.830, 1000, 2 2 0
3.505, 257, 0 8 0
2.678, 256, 1 3 1
2.573, 377, 4 0 0
2.502, 697, 1 5 1
2.462, 690, 2 10 0
2.292, 152, 1 7 1
2.061, 377, 3 5 1
1.609, 167, 5 5 1
1.554, 151, 1 15 1

```
data_Li3Mg2
_cell_length_a 10.2904
_cell_length_b 28.0385
_cell_length_c 2.9047
_cell_angle_alpha 90.00
_cell_angle_beta 90.00
_cell_angle_gamma 90.00
_space_group_name_H-M_alt 'F d d 2'
_space_group_IT_number 43
_space_group_name_Hall 'F 2 -2d'
loop_
_atom_site_label
_atom_site_fract_x
_atom_site_fract_y
_atom_site_fract_z
Li1 0.0000 0.0000 0.0000
Li2 0.0123 0.3995 0.0953
Mg1 0.0097 0.3013 0.6351
```

---

No. 3
For Sr4Pr3S8, a DFT-relaxed cell (PBE, Alexandria) gives the simulated PXRD pattern in this record (CuKα).

The 10 most intense peaks (10 to 80 degrees two-theta), in order of rising 2θ:
d/Å, intensity, hkl
6.847, 243, 1 1 0
4.198, 236, 0 2 1
3.419, 1000, 2 2 0
2.977, 762, 0 0 2
2.959, 750, 0 4 0
2.946, 740, 4 0 -2
2.099, 816, 0 4 2
2.088, 805, 4 4 -2
1.712, 282, 4 4 0
1.707, 280, 4 4 -4

```
data_Sr4Pr3S8
_cell_length_a 11.7851
_cell_length_b 11.8366
_cell_length_c 8.3567
_cell_angle_alpha 90.00
_cell_angle_beta 134.56
_cell_angle_gamma 90.00
_space_group_name_H-M_alt 'C 1 2/m 1'
_space_group_IT_number 12
loop_
_space_group_symop_operation_xyz
'x,y,z'
'-x,-y,-z'
'-x,y,-z'
'x,-y,z'
'x+1/2,y+1/2,z'
'-x+1/2,-y+1/2,-z'
'-x+1/2,y+1/2,-z'
'x+1/2,-y+1/2,z'
loop_
_atom_site_label
_atom_site_fract_x
_atom_site_fract_y
_atom_site_fract_z
Sr1 0.0000 0.0000 0.0000
Sr2 0.0000 0.5000 0.5000
Sr3 0.2500 0.2500 0.0000
Pr1 0.0000 0.5000 0.0000
Pr2 0.2500 0.2500 0.5000
S1 0.0000 0.2517 0.5000
S2 0.0000 0.2530 0.0000
S3 0.2383 0.5000 0.9912
S4 0.2457 0.5000 0.4915
```

---

No. 4
For ZrNb2VC4, a DFT-relaxed cell (PBE, Alexandria) gives the simulated PXRD pattern in this record (CuKα).

The 10 most intense peaks (10 to 80 degrees two-theta), in order of rising 2θ:
d/Å, intensity, hkl
2.592, 948, 1 0 4
2.574, 303, 0 0 12
2.513, 45, 0 1 5
2.241, 1000, 0 1 8
1.589, 323, 1 1 0
1.580, 295, 1 0 16
1.354, 124, 0 2 4
1.352, 241, 1 1 12
1.347, 112, 0 1 20
1.296, 154, 2 0 8

```
data_ZrNb2VC4
_cell_length_a 3.1770
_cell_length_b 3.1770
_cell_length_c 30.8840
_cell_angle_alpha 90.00
_cell_angle_beta 90.00
_cell_angle_gamma 120.00
_space_group_name_H-M_alt 'R 3 m'
_space_group_IT_number 160
_space_group_name_Hall 'R 3 -2"'
loop_
_atom_site_label
_atom_site_fract_x
_atom_site_fract_y
_atom_site_fract_z
Zr1 0.0000 0.0000 0.0000
Nb1 0.0000 0.0000 0.2456
Nb2 0.0000 0.0000 0.4939
V1 0.0000 0.0000 0.7486
C1 0.0000 0.0000 0.1191
C2 0.0000 0.0000 0.3788
C3 0.0000 0.0000 0.6204
C4 0.0000 0.0000 0.8696
```

---

No. 5
For Ce4TlBiC, a DFT-relaxed cell (PBE, Alexandria) gives the simulated PXRD pattern in this record (CuKα).

The 10 most intense peaks (10 to 80 degrees two-theta), in order of rising 2θ:
d/Å, intensity, hkl
3.488, 256, 2 0 0
3.206, 504, 2 2 0
2.717, 283, 0 6 0
2.650, 1000, 2 4 0
2.466, 559, 2 0 2
1.826, 323, 2 6 2
1.744, 197, 4 0 0
........

### Reply
No. 1
For LaPmLuPu, a DFT-relaxed cell (PBE, Alexandria) gives the simulated PXRD pattern in this record (CuKα).

The 10 most intense peaks (10 to 80 degrees two-theta), in order of rising 2θ:
d/Å, intensity, hkl
4.625, 16, 1 1 1
4.005, 36, 2 0 0
2.832, 1000, 2 2 0
2.415, 10, 3 1 1
2.312, 12, 2 2 2
2.003, 187, 4 0 0
1.791, 18, 4 2 0
1.635, 396, 4 2 2
1.416, 123, 4 4 0
1.267, 171, 6 2 0

```
data_LaPmLuPu
_cell_length_a 8.0103
_cell_length_b 8.0103
_cell_length_c 8.0103
_cell_angle_alpha 90.00
_cell_angle_beta 90.00
_cell_angle_gamma 90.00
_space_group_name_H-M_alt 'F -4 3 m'
_space_group_IT_number 216
_space_group_name_Hall 'F -4 2 3'
loop_
_atom_site_label
_atom_site_fract_x
_atom_site_fract_y
_atom_site_fract_z
La1 0.0000 0.0000 0.0000
Pm1 0.0000 0.0000 0.5000
Lu1 0.2500 0.2500 0.7500
Pu1 0.2500 0.2500 0.2500
```

---

No. 2
For Li3Mg2, a DFT-relaxed cell (PBE, Alexandria) gives the simulated PXRD pattern in this record (CuKα).

The 10 most intense peaks (10 to 80 degrees two-theta), in order of rising 2θ:
d/Å, intensity, hkl
4.830, 1000, 2 2 0
3.505, 257, 0 8 0
2.678, 256, 1 3 1
2.573, 377, 4 0 0
2.502, 697, 1 5 1
2.462, 690, 2 10 0
2.292, 152, 1 7 1
2.061, 377, 3 5 1
1.609, 167, 5 5 1
1.554, 151, 1 15 1

```
data_Li3Mg2
_cell_length_a 10.2904
_cell_length_b 28.0385
_cell_length_c 2.9047
_cell_angle_alpha 90.00
_cell_angle_beta 90.00
_cell_angle_gamma 90.00
_space_group_name_H-M_alt 'F d d 2'
_space_group_IT_number 43
_space_group_name_Hall 'F 2 -2d'
loop_
_atom_site_label
_atom_site_fract_x
_atom_site_fract_y
_atom_site_fract_z
Li1 0.0000 0.0000 0.0000
Li2 0.0123 0.3995 0.0953
Mg1 0.0097 0.3013 0.6351
```

---

No. 3
For Sr4Pr3S8, a DFT-relaxed cell (PBE, Alexandria) gives the simulated PXRD pattern in this record (CuKα).

The 10 most intense peaks (10 to 80 degrees two-theta), in order of rising 2θ:
d/Å, intensity, hkl
6.847, 243, 1 1 0
4.198, 236, 0 2 1
3.419, 1000, 2 2 0
2.977, 762, 0 0 2
2.959, 750, 0 4 0
2.946, 740, 4 0 -2
2.099, 816, 0 4 2
2.088, 805, 4 4 -2
1.712, 282, 4 4 0
1.707, 280, 4 4 -4

```
data_Sr4Pr3S8
_cell_length_a 11.7851
_cell_length_b 11.8366
_cell_length_c 8.3567
_cell_angle_alpha 90.00
_cell_angle_beta 134.56
_cell_angle_gamma 90.00
_space_group_name_H-M_alt 'C 1 2/m 1'
_space_group_IT_number 12
loop_
_space_group_symop_operation_xyz
'x,y,z'
'-x,-y,-z'
'-x,y,-z'
'x,-y,z'
'x+1/2,y+1/2,z'
'-x+1/2,-y+1/2,-z'
'-x+1/2,y+1/2,-z'
'x+1/2,-y+1/2,z'
loop_
_atom_site_label
_atom_site_fract_x
_atom_site_fract_y
_atom_site_fract_z
Sr1 0.0000 0.0000 0.0000
Sr2 0.0000 0.5000 0.5000
Sr3 0.2500 0.2500 0.0000
Pr1 0.0000 0.5000 0.0000
Pr2 0.2500 0.2500 0.5000
S1 0.0000 0.2517 0.5000
S2 0.0000 0.2530 0.0000
S3 0.2383 0.5000 0.9912
S4 0.2457 0.5000 0.4915
```

---

No. 4
For ZrNb2VC4, a DFT-relaxed cell (PBE, Alexandria) gives the simulated PXRD pattern in this record (CuKα).

The 10 most intense peaks (10 to 80 degrees two-theta), in order of rising 2θ:
d/Å, intensity, hkl
2.592, 948, 1 0 4
2.574, 303, 0 0 12
2.513, 45, 0 1 5
2.241, 1000, 0 1 8
1.589, 323, 1 1 0
1.580, 295, 1 0 16
1.354, 124, 0 2 4
1.352, 241, 1 1 12
1.347, 112, 0 1 20
1.296, 154, 2 0 8

```
data_ZrNb2VC4
_cell_length_a 3.1770
_cell_length_b 3.1770
_cell_length_c 30.8840
_cell_angle_alpha 90.00
_cell_angle_beta 90.00
_cell_angle_gamma 120.00
_space_group_name_H-M_alt 'R 3 m'
_space_group_IT_number 160
_space_group_name_Hall 'R 3 -2"'
loop_
_atom_site_label
_atom_site_fract_x
_atom_site_fract_y
_atom_site_fract_z
Zr1 0.0000 0.0000 0.0000
Nb1 0.0000 0.0000 0.2456
Nb2 0.0000 0.0000 0.4939
V1 0.0000 0.0000 0.7486
C1 0.0000 0.0000 0.1191
C2 0.0000 0.0000 0.3788
C3 0.0000 0.0000 0.6204
C4 0.0000 0.0000 0.8696
```

---

No. 5
For Ce4TlBiC, a DFT-relaxed cell (PBE, Alexandria) gives the simulated PXRD pattern in this record (CuKα).

The 10 most intense peaks (10 to 80 degrees two-theta), in order of rising 2θ:
d/Å, intensity, hkl
3.488, 256, 2 0 0
3.206, 504, 2 2 0
2.717, 283, 0 6 0
2.650, 1000, 2 4 0
2.466, 559, 2 0 2
1.826, 323, 2 6 2
1.744, 197, 4 0 0